This article was written by John Wolff. All views and opinions are strictly his own.
I was glancing through a list of the fifty most valuable metal mines in the world based on extraction and reserves at today’s prices, and struck by how many of them were not in existence 45 years ago. I mention 45 years because that is when a book called ‘The Limits to Growth’ was published in 1972. Although it was an academic tome, it caused quite a stir and sold several million copies.
I was introduced to it by a small client of ours called George Rapp. George’s father Leo had come to the UK as a German Jewish refugee before the war and established a steel and nonferrous semis stockholding business. George inherited the business which required him to follow LME prices. This lead him into taking modest speculative positions for his own account.
However, George was a very different character from your average client. He was really an academic, more at home in the world of university lecturers. He had a great love of language and plays on words. Not only in English. He spoke eight languages. When listing them he had a great throwaway line at the end – “Ah yes, there is one more. Now what is it? Oh yes. I was rather intrigued with a minor Danish poet, so also learned Danish.”
He was entertaining, eccentric, extrovert, and impossible to embarrass. Sometimes he would come on to the LME during the morning kerb prior to lunch. In those days, the kerb was still conducted by the dealers standing up round the large ashtray in the centre of the ring enjoying a cigarette while trading. (When trading was quiet the latest jokes would be told. It was remarkable how quickly very topical jokes would fly round the City. I always regretted the change to sitting for dealing on the kerb, because the dealers were no longer in close enough proximity to exchange stories.)
George, entirely against the rules, would go and stand among the dealers chatting away, totally oblivious to the fact that he was neither an authorised dealer, nor even a member of the LME. He also stood out because he had rather individual views on what a City suit, shirt and tie should look like.
Knowing his character, I invited George to write a lighthearted chapter on speculating on the LME for the first edition of Wolff’s Guide to the LME in 1976.
He wrote it under the pen name R.E.Dart (trader spelt backwards). George moved in the milieu of London leftwing intelligentsia. They would not have much approved of his trading, but he was not afraid to pull their leg in his opening paragraph:
“Much of the attack against the speculator seems designed to suggest that here is another ‘unacceptable face of capitalism’, which is a roundabout way of implying that capitalism has acceptable faces and to some that could be a much more debatable assertion.”
His love of words meant that he enjoyed our unusual market expressions. Describing a straddle position he wrote: “You now have, as they say, two legs – a long leg and a short leg. This game is full of zoological absurdities.”
It was not surprising to me, then, that George with his academic background was familiar with the Club of Rome. They had been founded by an Italian academic in 1968. He gathered other intellectuals around him and they published ‘The Limits to Growth’ in 1972, to which George was keen to introduce me. Their concern in its broadest form was the sustainability of the earth. If we kept on producing and consuming at an exponential rate, how long would it be before we ran out of agricultural products, fish, oil and other raw materials?
The authors did not invent the word exponential, but it became much better known after publication. They wanted to point out that in areas such as population and consumption, the thing to be concentrating on was precisely the effect of exponential growth.
Compound interest in an example of exponential growth, but one I enjoy more is the legend of the poor servant of the Grand Vizier Sissa bin Dahir. He presented his master with a beautifully crafted chess board. The Vizier was so touched he asked the servant what he would like in return. The servant said his family were hungry, so could he have some rice, one grain of rice for the first square of the board, two for the second square, four for the third, and so on. The Vizier agreed. Well over a million grains were needed for the 21st square and a million million by the 41st.
The book’s subject matter was wide ranging, and included some of the LME metals. In some cases their prognostications were alarming and pessimistic.
The Club still exists and reports now include articles on soil erosion and world government.
With the benefit of it now being the year 2017, we can measure their original forecasts. They turned out to have varying degrees of accuracy, but it is the forecasts on LME metals which will interest Lord Copper’s readers most, and those they got very wrong.
This is what they predicted in 1972:
The world would run out of copper in 21 to 48 years. That is somewhere between 1993 and 2020. I don’t see much sign of it!
Aluminium would last a little longer, 31 to 55 years, so we would run out somewhere between 2003 and 2027. Current prices and stocks don’t seem to point to that happening either. (But if you still believe it, buying a ten year call option might be fun.)
Where did they go wrong?
Firstly, but not most importantly, their computer programming was faulty, which reminds me of one of my father Freddie’s stories when on a business trip to New York in the early sixties.
He was taken in to see the new computer room at Bache. Those were pioneering days in computers and Bache were ahead of the game among the brokers in installing one. “But what happens’ my father asked “if you feed in the wrong information?”
“Buddy” the computer operator replied “If you feed in crap you get out crap.”
However, by far the main misjudgment by the authors of ‘The Limits to Growth’ was in failing to allow for man’s ingenuity and creativity.
We have not run out of copper or aluminium because man has continually developed new technology enabling him to mine in difficult terrain where it was not possible before, to discover new ore deposits that were not previously dreamed of, to recycle more, to treat waste material that was not previously treatable, and not least in the evolution of what one might call miniaturisation. For example, the original calculating machines on our desks used to contain several pounds of metals. Now, they are part of our mobile phones. And you used to need a brief case to carry the early mobile phones around in; now they slip in to your pocket. In the field of armaments, it used to take thousands of tonnes of copper and zinc to make cartridge shells to bombard a city. Today one missile weighing perhaps only 120 tonnes has the same effect.
My main point is that you can’t put man’s ingenuity into a computer programme. Maybe that is just as well otherwise life would be very predictable and there would not be much for Lord Copper to write about.
Man is so innately creative that in every era he seems to somehow be able to invent what helps him to live in that particular period of time.
Finally, a bon mot from George Rapp.
It was George who first told told me the witty anecdote with the double play on words about the four solicitors who took their favourite barrister out to dinner to thank him for successfully pleading a case for an important client.
+++
[1]
DFT (GGA-PBE) results for crystalline CaSi2 at its relaxed geometry.

Lattice parameters (Å, degrees): 3.8749 3.8749 10.3773 79.24 79.24 60.00
Fractional positions:
1 Si 0.3471 0.3471 0.9588
2 Si 0.8174 0.8174 0.5478
3 Si 0.1826 0.1826 0.4522
4 Si 0.6529 0.6529 0.0412
5 Ca 0.9200 0.9200 0.2399
6 Ca 0.0800 0.0800 0.7601

Properties
**Energy of formation from the pure elements**: -0.335 eV per atom
**SG**: R-3m (166)
**Corrected total energy (MP2020 scheme)**: -4.62 eV per atom

---

[2]
DFT (GGA-PBE) results for crystalline Ca3Si4 at its relaxed geometry.

Lattice parameters (Å, degrees): 8.5471 8.5471 14.9033 90.00 90.00 120.00
Fractional positions:
1 Si 0.0898 0.7369 0.1101
2 Si 0.6733 0.0560 0.2500
3 Si 0.7369 0.6471 0.6101
4 Si 0.3333 0.6667 0.0569
5 Si 0.6667 0.3333 0.5569
6 Si 0.3529 0.0898 0.8899
7 Si 0.3333 0.6667 0.7500
8 Si 0.0560 0.3827 0.7500
9 Si 0.2631 0.3529 0.3899
10 Si 0.7369 0.6471 0.8899
11 Si 0.3333 0.6667 0.4431
12 Si 0.3827 0.3267 0.2500
13 Si 0.3267 0.9440 0.7500
14 Si 0.2631 0.3529 0.1101
15 Si 0.9102 0.2631 0.8899
16 Si 0.6667 0.3333 0.9431
17 Si 0.6471 0.9102 0.3899
18 Si 0.6471 0.9102 0.1101
19 Si 0.3529 0.0898 0.6101
20 Si 0.6173 0.6733 0.7500
21 Si 0.9102 0.2631 0.6101
22 Si 0.0898 0.7369 0.3899
23 Si 0.6667 0.3333 0.2500
24 Si 0.9440 0.6173 0.2500
25 Ca 0.0929 0.6713 0.9026
26 Ca 0.3287 0.4216 0.9026
27 Ca 0.5784 0.9071 0.9026
28 Ca 0.3287 0.4216 0.5974
29 Ca 0.0000 0.0000 0.5000
30 Ca 0.3333 0.6667 0.2500
31 Ca 0.0000 0.0000 0.2500
32 Ca 0.6713 0.5784 0.4026
33 Ca 0.9071 0.3287 0.0974
34 Ca 0.0000 0.0000 0.7500
35 Ca 0.4216 0.0929 0.4026
36 Ca 0.6713 0.5784 0.0974
37 Ca 0.0000 0.0000 0.0000
38 Ca 0.6667 0.3333 0.7500
39 Ca 0.4216 0.0929 0.0974
40 Ca 0.9071 0.3287 0.4026
41 Ca 0.0929 0.6713 0.5974
42 Ca 0.5784 0.9071 0.5974

Properties
**Energy of formation from the pure elements**: -0.429 eV per atom
**SG**: P6_3/m (176)
**Corrected total energy (MP2020 scheme)**: -4.39 eV per atom

----------
+++
After the port had gone round the second time, one of them suggested it might be fun to come up with the most appropriate collective noun for prostitutes.
The first said, “How about a Fanfare of Strumpets?”
“No,” said the second, “I think it should be a Volume of Trollopes .”
“I rather prefer,” said the third, “a Jam of Tarts.”
“I think I trump you all,” said the senior partner, “with an Anthology of Prose.”
The barrister thanked them for their hospitality and commended his learned friends on their suggestions but thought there could only be one answer: “a Firm of Solicitors.”